Given:
No. 1
This record from OMol25 describes one molecule with the formula C3H5NS. The level of theory is ωB97M-V/def2-TZVPD.

Each line ends with the Mulliken charge.
Atoms and positions in Å:
S 0.8535 -2.5793 0.4099  -0.264
N -0.8493 0.7334 -0.7575  -0.583
C 0.4899 -1.0647 -0.0754  -0.592
C -0.5173 -0.2289 0.2981  0.411
C 0.0089 1.0474 0.5470  -0.443
H 1.1575 -0.8994 -0.9554  0.236
H 0.9988 1.1365 0.2810  0.310
H -0.3251 0.6795 -1.7034  0.265
H -0.5057 1.8558 1.1296  0.231
H -1.3113 -0.6804 0.8262  0.428

lowest unoccupied orbital energy = -0.244 eV
HOMO = -8.7 eV
total charge = 0
HOMO-LUMO gap = 8.49 eV
SMILES = S=C[C@H]1CN1

***

No. 2
This record from OMol25 describes a 2-piece molecular cluster, C4H7F2O2P overall. The level of theory is ωB97M-V/def2-TZVPD.

Each line ends with the Mulliken charge.
Atoms and positions in Å:
P 1.4664 1.4020 0.3582  0.610
F 0.4781 1.5677 1.6786  -0.309
F 2.2865 2.7043 0.9022  -0.303
O 0.0120 -0.7250 -0.2573  -0.308
O 2.5452 0.3449 0.8842  -0.412
C -1.0798 0.6398 -1.7051  -1.067
C -0.0567 -2.7643 1.3095  -0.310
C 0.0014 -1.7957 0.5700  0.138
C -1.2407 -0.1507 -0.4656  -0.263
H -0.5004 0.1644 -2.4799  0.277
H -0.0789 -3.8201 1.3503  0.322
H -2.1601 0.8662 -2.1156  0.318
H -1.9937 -0.9409 -0.6727  0.459
H -0.7567 1.7199 -1.4840  0.286
H 2.7127 0.3489 1.7821  0.299
H -1.6354 0.4386 0.3451  0.261

lowest unoccupied orbital energy = 0.891 eV
HOMO = -9.8 eV
total charge = 0
HOMO-LUMO gap = 10.74 eV
SMILES = C#COCC.OP(F)F

***

No. 3
This record from OMol25 describes HI2PS2 as an isolated structure. The level of theory is ωB97M-V/def2-TZVPD.

Each line ends with the Mulliken charge.
Atoms and positions in Å:
I 2.8580 0.9454 0.0300  -0.263
I -0.4629 -1.5985 -2.8840  0.121
S -0.4958 0.3742 1.9097  -0.155
S -0.6924 -1.7181 -0.4940  -0.148
P -0.2088 0.3483 -0.1229  0.250
H -0.9981 1.6488 1.5612  0.195

lowest unoccupied orbital energy (spin up / spin down) = -2.073 / -2.074 eV
HOMO (spin up / spin down) = -8.8 / -8.8 eV
total charge = 0
HOMO-LUMO gap (spin up / spin down) = 6.74 / 6.74 eV

***

No. 4
This record from OMol25 describes C25H32N5O4PtSSb as an isolated structure. The level of theory is ωB97M-V/def2-TZVPD.

Each line ends with the Mulliken charge.
Atoms and positions in Å:
Pt -0.9279 0.2355 0.6033  1.037
Sb -1.1393 2.2025 -1.2697  1.460
S 1.3747 -0.7582 -0.2750  1.099
O 2.5655 -0.8184 -1.0651  -0.620
O 1.2612 0.5491 0.5046  -0.705
O 1.1547 -1.9048 0.6048  -0.615
O 0.1264 -0.5690 -1.1559  -0.738
N -1.5820 -3.3755 0.4249  -0.606
N -1.3877 -2.1743 2.3664  -0.024
N -2.4460 -1.1821 0.5131  -0.691
N -0.6950 -1.2505 4.3592  0.183
N -1.3534 0.1304 2.5854  -0.672
C -1.8103 -2.1881 1.0511  0.370
C -1.1413 -1.0426 3.1051  0.674
C -2.4533 3.9040 -1.2068  0.359
C -4.2447 6.0382 -1.2130  -0.643
C -3.2997 0.3636 -4.7638  -0.670
C -3.5512 0.7507 -2.0656  -1.579
C -2.3434 3.9643 1.3158  -1.298
C 2.6334 2.3578 -3.4166  -1.142
C -4.5486 0.0759 -2.7475  -0.822
C -2.4145 1.2375 -2.7117  0.934
C 0.6308 2.9565 -2.1926  0.285
C 3.0642 3.6721 -3.3509  -0.700
C -0.7508 -2.5518 5.0001  -1.206
C 1.4262 2.0095 -2.8332  -0.610
C -1.1235 1.5576 -4.8825  -1.420
C -0.0071 -0.1944 5.0784  -1.299
C -3.8442 5.4693 -2.4109  -0.899
C -3.7557 5.5357 -0.0215  -0.799
C 0.3781 5.3263 -1.2685  -1.107
C -2.9599 4.4045 -2.3956  -0.291
C 1.0915 4.2703 -2.0655  0.901
C 2.3033 4.6059 -2.6691  -0.704
C -2.2885 1.0497 -4.0888  1.024
C -2.8585 4.4705 -0.0012  0.706
C -4.4154 -0.1263 -4.1119  -0.654
H -0.5269 5.6847 -1.7639  0.235
H -3.6691 0.9063 -0.9934  0.536
H -0.8532 -2.9840 2.6416  0.218
H -0.2447 0.9328 -4.7338  0.306
H -2.6753 -1.3687 -0.4593  0.223
H -4.2196 5.8484 -3.3513  0.451
H -0.8455 2.5721 -4.5977  0.193
H -1.3588 1.5519 -5.9468  0.467
H 1.0391 6.1774 -1.1113  0.478
H -0.6649 -2.4054 6.0742  0.442
H -1.6628 -3.3231 -0.5801  0.267
H -2.6622 3.9573 -3.3353  0.328
H 1.1186 0.9729 -2.8437  0.732
H 0.0707 -3.2021 4.6831  0.339
H -0.7208 -3.8349 0.6906  0.277
H -2.6839 2.9413 1.5067  0.168
H -4.9380 6.8686 -1.2051  0.375

To do:
Give back the part of the lines further up that starts with the line with "1.7821" and stops after the one with "1.2612 0.5491", please.

Outcome:
H 2.7127 0.3489 1.7821  0.299
H -1.6354 0.4386 0.3451  0.261

lowest unoccupied orbital energy = 0.891 eV
HOMO = -9.8 eV
total charge = 0
HOMO-LUMO gap = 10.74 eV
SMILES = C#COCC.OP(F)F

***

No. 3
This record from OMol25 describes HI2PS2 as an isolated structure. The level of theory is ωB97M-V/def2-TZVPD.

Each line ends with the Mulliken charge.
Atoms and positions in Å:
I 2.8580 0.9454 0.0300  -0.263
I -0.4629 -1.5985 -2.8840  0.121
S -0.4958 0.3742 1.9097  -0.155
S -0.6924 -1.7181 -0.4940  -0.148
P -0.2088 0.3483 -0.1229  0.250
H -0.9981 1.6488 1.5612  0.195

lowest unoccupied orbital energy (spin up / spin down) = -2.073 / -2.074 eV
HOMO (spin up / spin down) = -8.8 / -8.8 eV
total charge = 0
HOMO-LUMO gap (spin up / spin down) = 6.74 / 6.74 eV

***

No. 4
This record from OMol25 describes C25H32N5O4PtSSb as an isolated structure. The level of theory is ωB97M-V/def2-TZVPD.

Each line ends with the Mulliken charge.
Atoms and positions in Å:
Pt -0.9279 0.2355 0.6033  1.037
Sb -1.1393 2.2025 -1.2697  1.460
S 1.3747 -0.7582 -0.2750  1.099
O 2.5655 -0.8184 -1.0651  -0.620
O 1.2612 0.5491 0.5046  -0.705